What is needed: return all of the lines underneath with every line break kept.

~~~
Entry 1:
Entry from the Materials Project: CaPrMn2O6 after structural relaxation (PBE with a Hubbard U).

Computed properties:
As for the energy of formation: -63.25 kcal/mol of atoms. As for the total energy: -7.477 eV/atom.

a b c (Å): 7.721 5.500 5.454
angles (deg): 90.00 90.00 90.00
Positions (direct):
Ca 0.000 0.209 0.000
Ca 0.500 0.791 0.500
Pr 0.000 0.714 0.519
Pr 0.500 0.286 0.019
Mn 0.250 0.249 0.510
Mn 0.250 0.751 0.010
Mn 0.750 0.249 0.510
Mn 0.750 0.751 0.010
O 0.000 0.264 0.432
O 0.000 0.767 0.082
O 0.208 0.466 0.794
O 0.211 0.969 0.729
O 0.289 0.031 0.229
O 0.292 0.534 0.294
O 0.500 0.233 0.582
O 0.500 0.736 0.932
O 0.708 0.534 0.294
O 0.711 0.031 0.229
O 0.789 0.969 0.729
O 0.792 0.466 0.794

Entry 2:
Entry from the Materials Project: CaPr2Mn3O9 after structural relaxation (PBE with a Hubbard U).

Computed properties:
As for the energy of formation: -57.83 kcal/mol of atoms. As for the total energy: -7.334 eV/atom.

a b c (Å): 5.517 5.961 7.296
angles (deg): 89.18 89.44 76.41
Positions (direct):
Ca 0.000 0.000 0.000
Pr 0.279 0.443 0.750
Pr 0.990 0.001 0.526
Mn 0.040 0.444 0.259
Mn 0.484 0.811 0.259
Mn 0.558 0.883 0.795
O 0.023 0.394 0.505
O 0.034 0.406 0.012
O 0.210 0.096 0.254
O 0.233 0.064 0.765
O 0.404 0.728 0.503
O 0.431 0.731 0.007
O 0.672 0.160 0.751
O 0.846 0.769 0.262
O 0.897 0.738 0.786

Entry 3:
Entry from the Materials Project: SrCaMnRuO6 after structural relaxation (PBE with a Hubbard U).

Computed properties:
As for the energy of formation: -54.32 kcal/mol of atoms. As for the total energy: -6.959 eV/atom.

a b c (Å): 5.643 5.692 7.648
angles (deg): 90.00 90.61 90.00
Positions (direct):
Sr 0.246 0.000 0.000
Sr 0.754 0.500 0.000
Ca 0.255 0.078 0.499
Ca 0.745 0.578 0.501
Mn 0.248 0.535 0.746
Mn 0.752 0.035 0.254
Ru 0.249 0.534 0.256
Ru 0.751 0.034 0.744
O 0.027 0.238 0.779
O 0.048 0.253 0.220
O 0.162 0.504 0.505
O 0.318 0.545 0.997
O 0.453 0.814 0.297
O 0.469 0.832 0.704
O 0.531 0.332 0.296
O 0.547 0.314 0.703
O 0.682 0.045 0.003
O 0.838 0.004 0.495
O 0.952 0.753 0.780
O 0.973 0.738 0.221

Entry 4:
Entry from the Materials Project: Sr3CaMn2S2O5 after structural relaxation (PBE with a Hubbard U).

Computed properties:
As for the energy of formation: -56.71 kcal/mol of atoms. As for the total energy: -6.354 eV/atom.

a b c (Å): 14.652 14.652 14.652
angles (deg): 164.41 164.41 22.11
Positions (direct):
Sr 0.000 0.000 0.000
Sr 0.131 0.131 0.000
Sr 0.869 0.869 0.000
Ca 0.250 0.750 0.500
Mn 0.432 0.432 0.000
Mn 0.568 0.568 0.000
S 0.315 0.315 0.000
S 0.685 0.685 0.000
O 0.075 0.575 0.500
O 0.425 0.925 0.500
O 0.500 0.500 0.000
O 0.575 0.075 0.500
O 0.925 0.425 0.500

Entry 5:
Entry from the Materials Project: Ca2MnSbO6 after structural relaxation (PBE with a Hubbard U).

Computed properties:
As for the energy of formation: -59.99 kcal/mol of atoms. As for the total energy: -6.722 eV/atom.

a b c (Å): 5.556 11.422 7.643
angles (deg): 90.00 90.74 90.00
Positions (direct):
O 0.306 0.355 0.952
O 0.807 0.895 0.452
Ca 0.990 0.526 0.251
O 0.307 0.855 0.952
O 0.209 0.097 0.951
O 0.791 0.403 0.049
O 0.709 0.653 0.451
O 0.291 0.847 0.549
O 0.806 0.395 0.452
Ca 0.990 0.026 0.251
Sb 0.000 0.750 0.500
Ca 0.510 0.776 0.249
O 0.595 0.017 0.744
O 0.194 0.105 0.548
O 0.291 0.347 0.549
Ca 0.510 0.276 0.249
Ca 0.010 0.474 0.749
O 0.694 0.145 0.048
Sb 0.500 0.000 0.000
Sb 0.000 0.250 0.500
O 0.905 0.767 0.756
Ca 0.010 0.974 0.749
Ca 0.490 0.724 0.751
O 0.905 0.266 0.756
Mn 0.000 0.750 0.000
O 0.209 0.597 0.951
O 0.594 0.517 0.744
O 0.405 0.983 0.256
O 0.405 0.484 0.256
Sb 0.500 0.500 0.000
O 0.694 0.645 0.048
Mn 0.000 0.250 0.000
Mn 0.500 0.500 0.500
O 0.709 0.153 0.451
O 0.792 0.903 0.049
O 0.094 0.233 0.244
Mn 0.500 0.000 0.500
Ca 0.490 0.224 0.751
O 0.194 0.605 0.548
O 0.094 0.733 0.244

Entry 6:
Entry from the Materials Project: Ca4Mn3SbO12 after structural relaxation (PBE with a Hubbard U).

Computed properties:
As for the energy of formation: -58.70 kcal/mol of atoms. As for the total energy: -6.834 eV/atom.
~~~

Entry 1:
Entry from the Materials Project: CaPrMn2O6 after structural relaxation (PBE with a Hubbard U).

Computed properties:
As for the energy of formation: -63.25 kcal/mol of atoms. As for the total energy: -7.477 eV/atom.

a b c (Å): 7.721 5.500 5.454
angles (deg): 90.00 90.00 90.00
Positions (direct):
Ca 0.000 0.209 0.000
Ca 0.500 0.791 0.500
Pr 0.000 0.714 0.519
Pr 0.500 0.286 0.019
Mn 0.250 0.249 0.510
Mn 0.250 0.751 0.010
Mn 0.750 0.249 0.510
Mn 0.750 0.751 0.010
O 0.000 0.264 0.432
O 0.000 0.767 0.082
O 0.208 0.466 0.794
O 0.211 0.969 0.729
O 0.289 0.031 0.229
O 0.292 0.534 0.294
O 0.500 0.233 0.582
O 0.500 0.736 0.932
O 0.708 0.534 0.294
O 0.711 0.031 0.229
O 0.789 0.969 0.729
O 0.792 0.466 0.794

Entry 2:
Entry from the Materials Project: CaPr2Mn3O9 after structural relaxation (PBE with a Hubbard U).

Computed properties:
As for the energy of formation: -57.83 kcal/mol of atoms. As for the total energy: -7.334 eV/atom.

a b c (Å): 5.517 5.961 7.296
angles (deg): 89.18 89.44 76.41
Positions (direct):
Ca 0.000 0.000 0.000
Pr 0.279 0.443 0.750
Pr 0.990 0.001 0.526
Mn 0.040 0.444 0.259
Mn 0.484 0.811 0.259
Mn 0.558 0.883 0.795
O 0.023 0.394 0.505
O 0.034 0.406 0.012
O 0.210 0.096 0.254
O 0.233 0.064 0.765
O 0.404 0.728 0.503
O 0.431 0.731 0.007
O 0.672 0.160 0.751
O 0.846 0.769 0.262
O 0.897 0.738 0.786

Entry 3:
Entry from the Materials Project: SrCaMnRuO6 after structural relaxation (PBE with a Hubbard U).

Computed properties:
As for the energy of formation: -54.32 kcal/mol of atoms. As for the total energy: -6.959 eV/atom.

a b c (Å): 5.643 5.692 7.648
angles (deg): 90.00 90.61 90.00
Positions (direct):
Sr 0.246 0.000 0.000
Sr 0.754 0.500 0.000
Ca 0.255 0.078 0.499
Ca 0.745 0.578 0.501
Mn 0.248 0.535 0.746
Mn 0.752 0.035 0.254
Ru 0.249 0.534 0.256
Ru 0.751 0.034 0.744
O 0.027 0.238 0.779
O 0.048 0.253 0.220
O 0.162 0.504 0.505
O 0.318 0.545 0.997
O 0.453 0.814 0.297
O 0.469 0.832 0.704
O 0.531 0.332 0.296
O 0.547 0.314 0.703
O 0.682 0.045 0.003
O 0.838 0.004 0.495
O 0.952 0.753 0.780
O 0.973 0.738 0.221

Entry 4:
Entry from the Materials Project: Sr3CaMn2S2O5 after structural relaxation (PBE with a Hubbard U).

Computed properties:
As for the energy of formation: -56.71 kcal/mol of atoms. As for the total energy: -6.354 eV/atom.

a b c (Å): 14.652 14.652 14.652
angles (deg): 164.41 164.41 22.11
Positions (direct):
Sr 0.000 0.000 0.000
Sr 0.131 0.131 0.000
Sr 0.869 0.869 0.000
Ca 0.250 0.750 0.500
Mn 0.432 0.432 0.000
Mn 0.568 0.568 0.000
S 0.315 0.315 0.000
S 0.685 0.685 0.000
O 0.075 0.575 0.500
O 0.425 0.925 0.500
O 0.500 0.500 0.000
O 0.575 0.075 0.500
O 0.925 0.425 0.500

Entry 5:
Entry from the Materials Project: Ca2MnSbO6 after structural relaxation (PBE with a Hubbard U).

Computed properties:
As for the energy of formation: -59.99 kcal/mol of atoms. As for the total energy: -6.722 eV/atom.

a b c (Å): 5.556 11.422 7.643
angles (deg): 90.00 90.74 90.00
Positions (direct):
O 0.306 0.355 0.952
O 0.807 0.895 0.452
Ca 0.990 0.526 0.251
O 0.307 0.855 0.952
O 0.209 0.097 0.951
O 0.791 0.403 0.049
O 0.709 0.653 0.451
O 0.291 0.847 0.549
O 0.806 0.395 0.452
Ca 0.990 0.026 0.251
Sb 0.000 0.750 0.500
Ca 0.510 0.776 0.249
O 0.595 0.017 0.744
O 0.194 0.105 0.548
O 0.291 0.347 0.549
Ca 0.510 0.276 0.249
Ca 0.010 0.474 0.749
O 0.694 0.145 0.048
Sb 0.500 0.000 0.000
Sb 0.000 0.250 0.500
O 0.905 0.767 0.756
Ca 0.010 0.974 0.749
Ca 0.490 0.724 0.751
O 0.905 0.266 0.756
Mn 0.000 0.750 0.000
O 0.209 0.597 0.951
O 0.594 0.517 0.744
O 0.405 0.983 0.256
O 0.405 0.484 0.256
Sb 0.500 0.500 0.000
O 0.694 0.645 0.048
Mn 0.000 0.250 0.000
Mn 0.500 0.500 0.500
O 0.709 0.153 0.451
O 0.792 0.903 0.049
O 0.094 0.233 0.244
Mn 0.500 0.000 0.500
Ca 0.490 0.224 0.751
O 0.194 0.605 0.548
O 0.094 0.733 0.244

Entry 6:
Entry from the Materials Project: Ca4Mn3SbO12 after structural relaxation (PBE with a Hubbard U).

Computed properties:
As for the energy of formation: -58.70 kcal/mol of atoms. As for the total energy: -6.834 eV/atom.